Industry: State Agency
Site: https://tpwd.texas.gov/
Challenge: Legacy systems not coping with growth of statewide public education licensing and certification programs.
Solution: Replace legacy system with WordPress-based cloud LMS solution.
Results: An agile platform that includes benefits for learners, instructors, third-party vendors, administrators, and program managers; this resulted in easier production as well as cost benefits.

How do you streamline the nation’s largest hunter and boater education and certification program? Texas Department of Parks & Wildlife Department trains, licenses and certifies some 90,000 hunters and boat operators a year. To earn a hunting license or boat operator certificate, a learner passes both live courses and online courses. The live courses are taught by some 3,200 volunteer instructors across Texas who teach, give tests and collect fees for the State. The online courses are delivered by separate third-party vendors who also collect fees for the State. When learners meet requirements, Texas Parks issues them hunter licenses and boat operator certificates.
WP Engine takes care of hosting, security and WordPress Devops, allowing us to put all our energy toward the needs of clients.
—–Martin Mascarenas, CEO, CTO & Cofounder
Texas Parks was operating with an outdated system, a 30-year-old database architecture, and some antiquated technology. Learners endured long waits to receive mailed licenses and certifications. Volunteer instructors, whose live courses are the lifeblood of effective safety training, had to live with a process Texas Parks wanted to make better, simpler, and faster. Texas Parks wanted a modern, enterprise-class Learning Management System (LMS) to replace its legacy operations.
Collection of fees from thousands of individual instructors and from separate thirdparty online course vendors was complex and cumbersome, and so was processing payment of fees collected to the State. Texas Parks wanted e-commerce to streamline those processes and to automatically process payments into the Texas.gov secure payment gateway. These operations involved multiple databases the agency wanted to unite and integrate. The new LMS would have to do all that.
The next challenge involved a statewide retail point-of-sale (POS) system Texas Parks uses to sell an array of permits, stamps, and tags to people with valid hunting licenses, fishing licenses, and boat operator certificates.
These molecular data were left in the page by mistake:
********
76
Properties=species:S:1:pos:R:3 method="wB97M-V/def2-TZVPD" total_charge=-1 e_above_lowest_kj_mol=0.0 energy_ha=-4140.67012
Cu -0.5128 1.6429 0.6114
C -3.0973 5.7936 3.0508
C -2.0898 5.4734 1.9604
C -2.4275 6.2818 0.7105
O -2.2006 4.0860 1.6113
B -0.9311 3.5258 1.4034
O 0.0301 4.4738 1.7914
C -0.5976 5.6148 2.3946
C -0.4023 5.4986 3.9012
C 0.0878 6.8761 1.8994
H -4.1067 5.7191 2.6389
H -2.9540 6.8103 3.4344
H -3.0202 5.0847 3.8744
H -3.4434 6.0260 0.4006
H -1.7530 6.0158 -0.1061
H -2.3730 7.3600 0.8886
H -0.8764 4.5895 4.2795
H -0.8091 6.3637 4.4339
H 0.6688 5.4316 4.1049
H 0.1173 6.9063 0.8102
H 1.1173 6.8926 2.2670
H -0.4259 7.7709 2.2680
N 1.9163 -0.0659 1.6398
C 2.3053 0.9990 0.8684
C 3.5507 1.6252 1.0511
C 3.9117 2.6404 0.2037
C 3.0499 3.0214 -0.8238
C 1.8487 2.3563 -0.9274
N 1.4579 1.3759 -0.0972
H 2.3204 -0.1475 2.5555
H 0.9436 -0.3477 1.5469
H 4.2073 1.2931 1.8458
H 4.8690 3.1326 0.3268
H 3.3011 3.8169 -1.5129
H 1.1392 2.6110 -1.7084
C -0.4780 -6.2059 -0.2809
Si -1.2044 -4.5494 0.2566
C -0.8819 -4.4222 2.0989
C -3.0640 -4.6729 0.0367
Si -0.4274 -2.6320 -0.8332
Te -1.6015 -0.8231 0.3637
Si -1.1302 -2.8072 -3.0515
C -2.8826 -2.1921 -3.2698
C -0.0444 -1.8283 -4.2339
C -1.1240 -4.5862 -3.6759
Si 1.8960 -2.8587 -0.9072
C 2.8325 -1.3882 -1.5935
C 2.3154 -4.3099 -2.0356
C 2.6437 -3.2787 0.7620
H -0.9790 -7.0257 0.2461
H 0.5934 -6.2604 -0.0524
H -0.5945 -6.3717 -1.3585
H -1.3705 -5.2433 2.6380
H -1.2728 -3.4705 2.4783
H 0.1923 -4.4528 2.3216
H -3.4925 -5.4286 0.7059
H -3.3304 -4.9346 -0.9964
H -3.5251 -3.7035 0.2641
H -2.9733 -1.1513 -2.9354
H -3.5807 -2.7858 -2.6652
H -3.1889 -2.2557 -4.3213
H 0.0717 -0.7916 -3.8913
H -0.4836 -1.8105 -5.2385
H 0.9594 -2.2655 -4.3067
H -1.8075 -5.2075 -3.0843
H -0.1272 -5.0371 -3.6075
H -1.4461 -4.6283 -4.7235
H 2.5136 -1.1615 -2.6179
H 3.9088 -1.5949 -1.6044
H 2.6576 -0.4904 -0.9879
H 2.0531 -4.0875 -3.0765
H 1.7704 -5.2155 -1.7463
H 3.3886 -4.5299 -1.9964
H 2.4232 -2.4887 1.4905
H 3.7323 -3.3807 0.6816
H 2.2370 -4.2201 1.1511
********
So much for the molecular data:
The network includes some 1,700 retail stores across Texas that sell hunting, boating and fishing equipment and supplies. The LMS had to integrate with the agency’s POS system, as well.
- - -
No. 1
Density functional theory data (ωB97M-V/def2-TZVPD) for a molecular structure, C36H33BF4N7P2S4SbSe2W.

Its spin multiplicity is 2. The value obtained for the total energy is -9585.3599 Eh. The charge is -1. The HOMO-LUMO gap (spin up / spin down) comes out at 5.5 / 5.2 eV. The relative energy (zero: lowest compared OMol25 entry of this formula, charge and spin) is 189.3 kJ/mol.

Atoms and positions in Å:
1 W 1.8362 1.6503 -1.3154
2 C 4.8669 6.1125 0.4145
3 C 4.7642 6.1373 -1.1045
4 N 5.1204 4.8720 -1.7298
5 C 4.3217 3.7735 -1.6916
6 S 2.6105 3.9981 -1.4196
7 N 4.8670 2.6244 -1.8872
8 N 3.9847 1.5621 -1.8638
9 C 4.5424 0.4220 -2.1053
10 C 5.9710 0.2586 -2.4777
11 C 3.6887 -0.7541 -1.9790
12 C 4.1602 -2.0233 -2.2489
13 C 3.3183 -3.1076 -2.0828
14 C 2.0186 -2.8775 -1.6859
15 C 1.6158 -1.5799 -1.4343
16 N 2.4290 -0.5247 -1.5551
17 H 4.5967 7.0840 0.8317
18 H 5.8833 5.8729 0.7316
19 H 4.1943 5.3619 0.8314
20 H 5.4255 6.8972 -1.5238
21 H 3.7522 6.3981 -1.4138
22 H 6.1023 4.6390 -1.7561
23 H 6.4288 1.2157 -2.6876
24 H 6.0482 -0.3923 -3.3498
25 H 6.4808 -0.2391 -1.6483
26 H 5.1955 -2.1642 -2.5118
27 H 3.6847 -4.1119 -2.2440
28 H 1.3016 -3.6707 -1.5261
29 H 0.5968 -1.4103 -1.1325
30 S -0.3803 2.4667 3.0071
31 Sb 0.8567 3.7171 1.6021
32 S 0.0232 3.2495 -0.6957
33 S 2.8601 2.2088 0.9131
34 Se -1.7427 -3.8279 -0.0989
35 P -1.9189 -2.2581 1.3047
36 C -1.3547 -2.7455 2.9602
37 C -0.1738 -3.4782 3.0679
38 C 0.2932 -3.8596 4.3124
39 C -0.4194 -3.5237 5.4573
40 C -1.5993 -2.8060 5.3535
41 C -2.0670 -2.4129 4.1059
42 C -3.6063 -1.6606 1.5478
43 C -4.6788 -2.4942 1.2470
44 C -5.9746 -2.0498 1.4523
45 C -6.2000 -0.7712 1.9492
46 C -5.1308 0.0554 2.2619
47 C -3.8306 -0.3926 2.0711
48 C -0.8649 -0.8499 0.8907
49 C -0.7933 0.1052 -0.1268
50 N 0.4928 0.5701 -0.0244
51 N 1.1170 -0.0263 0.9915
52 N 0.3180 -0.8663 1.5541
53 P -1.8525 0.7185 -1.4920
54 Se 0.9201 1.6050 -3.3790
55 C -2.6329 -0.8143 -2.1235
56 C -3.9046 -1.2793 -1.8058
57 C -4.4082 -2.4193 -2.4154
58 C -3.6456 -3.1142 -3.3410
59 C -2.3761 -2.6586 -3.6684
60 C -1.8831 -1.5096 -3.0742
61 C -3.2116 1.6280 -0.6815
62 C -3.0384 2.2160 0.5681
63 C -4.0026 3.0650 1.0892
64 C -5.1593 3.3354 0.3706
65 C -5.3392 2.7568 -0.8786
66 C -4.3662 1.9202 -1.4073
67 H 0.3791 -3.7377 2.1753
68 H 1.2208 -4.4114 4.3886
69 H -0.0501 -3.8212 6.4308
70 H -2.1583 -2.5418 6.2421
71 H -2.9864 -1.8472 4.0370
72 H -4.4817 -3.4721 0.8239
73 H -6.8108 -2.6947 1.2118
74 H -7.2137 -0.4175 2.0918
75 H -5.3015 1.0547 2.6388
76 H -2.9923 0.2464 2.3229
77 H -4.5062 -0.7545 -1.0746
78 H -5.3961 -2.7743 -2.1478
79 H -4.0376 -4.0109 -3.8045
80 H -1.7726 -3.1949 -4.3900
81 H -0.9003 -1.1394 -3.3498
82 H -2.1489 2.0124 1.1523
83 H -3.8374 3.5085 2.0640
84 H -5.9151 3.9964 0.7772
85 H -6.2340 2.9659 -1.4521
86 H -4.5084 1.4983 -2.3956
87 F 6.7523 -2.2406 -0.5227
88 B 5.9053 -2.0627 0.6155
89 F 5.2786 -0.7951 0.4967
90 F 6.6629 -2.1249 1.7773
91 F 4.9209 -3.0655 0.5912


No. 2
- - -
End of the quantum chemistry results >
There was more. The agency deploys 500 Game Wardens who use a smartphone app. The LMS had to integrate all the other data and push it to those public servants scattered across Texas.
Texas Parks chose Element Learning Management Solutions, based in Austin, to provide the new LMS and to implement and maintain the system. The agency named the new system the “Online Registration System” (ORS). Major ORS requirements included managing statewide classroom and online courses; delivering front-to-back education functions; e-commerce capabilities, and strong tracking and reporting.
For almost two decades, Element has implemented online learning management systems for clients in government, education, and private sector clients. The Element LMS platform is a cloud-hosted off-the-shelf (COTS) enterprise-class learning environment built on open source, modular, extensible architecture. To WordPress, the CMS foundation, Element added deep live and online learning management capabilities.
The Results
Using Agile SCRUM methods, Element implemented this solution:
- Setup, brand, and configure new ORS system
- Migrate database of some 1,500,000 license records
- Set up e-commerce integrated with the Texas.gov payment gateway
- Configure learner functions. Learners now review records and print licenses and certificates online.
- Configure instructor functions. Volunteer instructors now schedule and add courses online, maintain their instructor profile, download training materials, and print class rosters.
- Configure a portal for third-party online course vendors to upload test results and remit fees they collect.
- Integrate LMS with the POS system to exchange data with 1,700 retail locations.
- Integrate LMS with the smart phone app used by Game Wardens.
To maintain security and performance for the online registration system, Element uses WP Engine’s managed WordPress platform. Because WP Engine takes care of hosting, security and WordPress Devops, Element can put all its energy toward the needs of clients.
Thanks to a modern, extensible LMS platform, Texas Parks is rolling out changes envisioned as more effective, more efficient, and better for learners and instructors.
== Records of molecules that have nothing to do with the piece ==
The following is a DFT calculation (ωB97M-V with the def2-TZVPD basis set) of a 11-piece molecular cluster, C33H75B5F20N9O3 overall at a distorted geometry.

Calculated values
electronic energy	-112743.4930	eV
⟨S²⟩	0.756
frontier orbital gap (spin up / spin down)	1.55 / 5.70	eV
LUMO energy (spin up / spin down)	-1.035 / -1.044	eV
multiplicity	2

```
145
C33H75B5F20N9O3 | the Open Molecules 2025 dataset | ωB97M-V with the def2-TZVPD basis set
C 0.912 -6.983 -3.372
C 0.861 -6.301 -4.778
N 0.361 -4.940 -4.811
C 1.124 -3.828 -5.233
C 0.288 -2.690 -5.044
N -0.990 -3.143 -4.637
C -0.944 -4.515 -4.500
C -2.057 -2.290 -4.271
H 1.097 -8.057 -3.360
H -0.088 -6.793 -2.984
H 1.702 -6.488 -2.807
H 0.243 -6.857 -5.483
H 1.803 -6.354 -5.324
H 2.163 -3.985 -5.484
H 0.463 -1.636 -5.201
H -1.686 -5.191 -4.102
H -1.969 -1.278 -4.668
H -1.885 -2.157 -3.203
H -3.033 -2.706 -4.520
C -3.798 0.531 5.909
C -3.114 1.010 4.581
N -3.286 0.092 3.434
C -2.929 -1.234 3.356
C -3.504 -1.760 2.164
N -4.191 -0.716 1.544
C -4.071 0.415 2.336
C -5.031 -0.829 0.329
H -3.583 1.265 6.685
H -3.461 -0.412 6.341
H -4.884 0.506 5.815
H -2.062 1.192 4.800
H -3.565 1.994 4.455
H -2.294 -1.701 4.094
H -3.466 -2.741 1.715
H -4.488 1.405 2.222
H -5.361 0.158 0.007
H -5.850 -1.514 0.548
H -4.473 -1.341 -0.455
C 0.933 6.147 0.707
C -0.025 6.723 1.820
N 0.316 6.231 3.146
C 0.591 4.918 3.461
C 0.899 4.796 4.796
N 0.919 6.121 5.302
C 0.483 6.983 4.296
C 1.411 6.424 6.607
H 0.598 6.414 -0.295
H 0.775 5.069 0.746
H 1.987 6.420 0.762
H -1.071 6.442 1.694
H -0.079 7.807 1.718
H 0.597 4.207 2.648
H 1.106 3.911 5.380
H 0.521 8.062 4.255
H 0.563 6.888 7.111
H 2.232 7.124 6.449
H 1.740 5.568 7.196
C 0.406 6.244 -3.182
N 0.972 5.887 -4.560
C -0.333 5.664 -5.380
C 1.662 7.052 -5.303
C 2.008 4.781 -4.646
C 1.955 3.683 -3.561
O 0.689 3.047 -3.573
H -0.353 7.012 -3.330
H 1.225 6.522 -2.519
H -0.086 5.367 -2.761
H -0.883 4.845 -4.917
H -0.118 5.609 -6.447
H -0.991 6.516 -5.207
H 1.801 6.742 -6.338
H 2.638 7.328 -4.904
H 0.900 7.815 -5.147
H 3.011 5.178 -4.496
H 2.056 4.453 -5.685
H 2.230 4.103 -2.594
H 2.749 2.966 -3.770
H 0.472 2.753 -4.461
C 1.058 1.970 -0.328
N 0.820 0.435 -0.665
C 0.517 0.283 -2.161
C 2.068 -0.419 -0.259
C -0.315 -0.090 0.229
C -0.837 -1.471 -0.091
O -1.981 -1.414 -0.954
H 0.359 2.570 -0.910
H 2.104 2.206 -0.521
H 0.828 2.175 0.717
H 1.409 0.517 -2.743
H -0.378 0.847 -2.424
H 0.468 -0.790 -2.344
H 2.284 -0.156 0.776
H 3.005 -0.222 -0.780
H 1.978 -1.496 -0.407
H -1.085 0.675 0.131
H 0.036 0.076 1.248
H -1.266 -2.009 0.754
H -0.200 -2.198 -0.594
H -2.201 -2.209 -1.447
C 0.995 -5.532 3.622
N -0.139 -6.096 2.832
C -0.196 -7.635 2.841
C -1.485 -5.604 3.503
C -0.156 -5.610 1.404
C 1.292 -5.631 0.681
O 1.863 -6.900 0.766
H 0.768 -5.676 4.678
H 0.778 -4.478 3.450
H 1.963 -5.790 3.192
H 0.720 -8.055 2.426
H -1.050 -7.951 2.241
H -0.299 -8.088 3.827
H -1.509 -5.980 4.525
H -2.242 -6.095 2.892
H -1.639 -4.525 3.523
H -0.477 -4.571 1.480
H -0.930 -6.020 0.754
H 1.911 -4.776 0.953
H 1.086 -5.506 -0.382
== End of the records of molecules ==
The integrated database enables simpler, richer operating and management reports. Because learners can print licenses and certificates, the agency no longer has to print and mail those materials, with significant annual cost savings. Outdated, timeconsuming test-grading equipment and methods can be phased out.
Because the ORS platform is modular and has capabilities not yet tapped, Texas Parks has an agile path to future business and technology innovation.